[Work order]
Please work out how many lines further below have the word "merged" in them; a number is enough.

[Listing]
'''
K2BiH5C5O10: theoretical powder diffractogram (copper Kα), based on a GGA-PBE-relaxed structure.
Lines closer than 0.1° are merged.

Lattice parameters (Å, degrees): 7.247 7.247 12.382 92.54 92.54 112.35
Sites, in units of the cell vectors:
K 0.045 0.751 0.881
K 0.249 0.955 0.619
K 0.751 0.045 0.381
K 0.955 0.249 0.119
Bi 0.170 0.830 0.250
Bi 0.830 0.170 0.750
H 0.225 0.514 0.544
H 0.346 0.349 0.432
H 0.349 0.346 0.932
H 0.486 0.775 0.956
H 0.495 0.505 0.750
H 0.505 0.495 0.250
H 0.514 0.225 0.044
H 0.651 0.654 0.068
H 0.654 0.651 0.568
H 0.775 0.486 0.456
C 0.114 0.430 0.601
C 0.202 0.299 0.886
C 0.299 0.202 0.386
C 0.413 0.587 0.250
C 0.430 0.114 0.101
C 0.570 0.886 0.899
C 0.587 0.413 0.750
C 0.701 0.798 0.614
C 0.798 0.701 0.114
C 0.886 0.570 0.399
O 0.026 0.241 0.581
O 0.084 0.526 0.681
O 0.086 0.387 0.909
O 0.160 0.161 0.311
O 0.161 0.160 0.811
O 0.241 0.026 0.081
O 0.310 0.582 0.163
O 0.387 0.086 0.409
O 0.418 0.690 0.337
O 0.474 0.916 0.819
O 0.526 0.084 0.181
O 0.582 0.310 0.663
O 0.613 0.914 0.591
O 0.690 0.418 0.837
O 0.759 0.974 0.919
O 0.839 0.840 0.189
O 0.840 0.839 0.689
O 0.914 0.613 0.091
O 0.916 0.474 0.319
O 0.974 0.759 0.419

Largest 12 diffraction maxima, in order of rising 2θ, 2θ from 15° to 90°:
2theta  d (Å)  Rel. int.
15.48  5.724  100
16.38  5.411  86
24.64  3.612  72
24.79  3.591  77
26.17  3.405  56
27.42  3.253  43
29.21  3.057  75
33.39  2.683  56
34.48  2.601  47
35.66  2.518  49
44.08  2.054  46
47.67  1.908  41

* * * * *

The following is a simulated X-ray diffraction stick pattern of BaCaPrSbO6. It was derived from a crystal structure in the Materials Project, relaxed with PBE, using Cu Kα (weighted mean of Kα1 and Kα2).

Largest 10 diffraction maxima, in order of rising 2θ, 10 to 90 degrees two-theta:
20.81°, 4.268 Å, I = 9.6
29.60°, 3.018 Å, I = 100.0
42.26°, 2.139 Å, I = 9.2
42.40°, 2.132 Å, I = 18.3
52.50°, 1.743 Å, I = 29.9
52.56°, 1.741 Å, I = 14.8
61.41°, 1.510 Å, I = 10.5
69.72°, 1.349 Å, I = 9.0
84.96°, 1.142 Å, I = 10.9
85.11°, 1.140 Å, I = 10.9

Crystal structure
a b c (Å): 8.522 8.533 8.554
angles (deg): 90.00 90.00 90.00
Space group P222 (No. 16)
Symmetry-distinct sites (fractional):
1 Ba 0.000 0.000 0.000 [1 per cell]
2 Ba 0.000 0.000 0.500 [1 per cell]
3 Ba 0.000 0.500 0.000 [1 per cell]
4 Ba 0.500 0.500 0.500 [1 per cell]
5 Ca 0.000 0.500 0.500 [1 per cell]
6 Ca 0.500 0.000 0.000 [1 per cell]
7 Ca 0.500 0.000 0.500 [1 per cell]
8 Ca 0.500 0.500 0.000 [1 per cell]
9 Pr 0.255 0.252 0.251 [4 per cell]
10 Sb 0.257 0.249 0.748 [4 per cell]
11 O 0.022 0.274 0.785 [4 per cell]
12 O 0.209 0.305 0.521 [4 per cell]
13 O 0.224 0.017 0.717 [4 per cell]
14 O 0.300 0.205 0.979 [4 per cell]
15 O 0.303 0.477 0.798 [4 per cell]
16 O 0.482 0.209 0.690 [4 per cell]

***

The following is a simulated X-ray diffraction stick pattern of K3CaP2O8. It was derived from a crystal structure in the Materials Project, relaxed with PBE, using Cu Kα (weighted mean of Kα1 and Kα2).

Largest 10 diffraction maxima, in order of rising 2θ, 10 to 90 degrees two-theta:
28.66°, 3.114 Å, I = 31.6
29.23°, 3.055 Å, I = 19.5
30.18°, 2.961 Å, I = 51.2
30.56°, 2.925 Å, I = 15.8
30.79°, 2.904 Å, I = 100.0
31.03°, 2.882 Å, I = 50.8
35.81°, 2.507 Å, I = 21.4
42.75°, 2.115 Å, I = 58.5
44.55°, 2.034 Å, I = 20.5
64.13°, 1.452 Å, I = 17.8

Crystal structure
a b c (Å): 10.107 5.765 7.540
angles (deg): 90.00 93.75 90.00
Space group C2/m (No. 12)
Symmetry-distinct sites (fractional):
1 K 0.000 0.000 0.000 [2 per cell]
2 K 0.168 0.500 0.700 [4 per cell]
3 Ca 0.000 0.000 0.500 [2 per cell]
4 P 0.159 0.500 0.250 [4 per cell]
5 O 0.096 0.280 0.328 [8 per cell]
6 O 0.138 0.500 0.043 [4 per cell]
7 O 0.189 0.000 0.705 [4 per cell]

***

The following is a simulated X-ray diffraction stick pattern of LaMg14B. It was derived from a crystal structure in the Materials Project, relaxed with PBE, using Cu Kα (weighted mean of Kα1 and Kα2).

Largest 10 diffraction maxima, in order of rising 2θ, 10 to 90 degrees two-theta:
'''

[Written answer]
1